Here we are! This is our School of Frontier Missions class taken the 1st week. We have students from Armenia, Belarus, Russia, Tajikistan, Uzbekistan, and USA! Quite diverse as you can see :) Sorry it has been a while since our last update but we have been good and busy with school! The first month flew by already. It was packed full of great teaching, growth, and a lot of research and reading for school projects. Our first 2 weeks we were blessed with pioneers who have been with YWAM for over 40 years and have even worked alongside Brother Andrew! The first week was about Pioneering new works in new places. Second week was leadership. Third week we learned about building and following Vision. Last week we were blessed with the teaching "How not to burn out in ministry." A really great message and much needed in this area of the world; stress management, rest & Sabbath, depression, etc. And this week we have a YWAM team from the States teaching us about Bible study and then Church planting. In addition to classes Evan is leading worship at school and church and we are beginning to host worship nights at our apartment.
We have some EXCITING news! Thank you for those who have joined us in prayer discerning our next steps from here. Through many crazy contacts and open doors we are moving ahead with going to INDIA in December! We are working on visa and trip details now. We plan to go until the end of February. We will travel to several different cities connecting with different ministries. One we are very excited about is joining up with Hoola For Happiness and using hula hoops to spread the love and joy of Christ! We believe God will teach us a lot through this trip and enable us to build relationships for future work. He will move and open our eyes to His vision for the nation. In West Bengal state of India alone there are over 600 people groups, hundreds of languages, many millions of people almost completely unreached with the Gospel. It is insane. We are so excited to see more of God's part for us in His great plan!
<<<
# 1
CoO2: optimized geometry, PBE+U.

Output
The MP2020-corrected energy comes out at -6.735 eV per atom. The total energy is -68.8 eV/cell. As for the space-group type: P1 (1). The total magnetic moment comes out at 0.00 μB per formula unit. Its formation enthalpy at 0 K is -1.067 eV/atom.

The structure in extended XYZ format:
```
12
Lattice="-2.4035 -1.5070 0.1968 1.8538 -0.0049 2.1375 -9.5610 15.3363 7.1055" Properties=species:S:1:pos:R:3 pbc="T T T"
Co -4.7775 7.6608 3.5533
Co -7.1786 11.5104 5.3338
Co -0.5504 -1.5109 2.3341
Co -2.9343 2.3204 4.1056
O -2.9333 2.0820 2.2357
O -5.3262 5.9105 4.0172
O -7.7276 9.7602 5.7977
O -10.1106 13.5870 7.5695
O -0.0016 0.2394 1.8700
O -2.3856 4.0705 3.6413
O -4.7785 7.8993 5.4236
O -7.1793 11.7486 7.2041
```

---

# 2
CoO2: optimized geometry, PBE+U.

Output
The MP2020-corrected energy comes out at -6.092 eV per atom. The total energy is -15.3 eV/cell. As for the space-group type: Cm (8). The total magnetic moment comes out at 2.00 μB per formula unit. Its formation enthalpy at 0 K is -0.424 eV/atom.

The structure in extended XYZ format:
```
3
Lattice="2.2447 1.8838 1.1814 2.6866 0.4608 -1.6142 -10.8120 15.0886 -3.5158" Properties=species:S:1:pos:R:3 pbc="T T T"
Co -1.3536 9.7618 -2.4306
O -4.8847 8.6507 -2.4000
O -0.6782 8.4386 -1.6042
```

---

# 3
CoO2: optimized geometry, PBE+U.

Output
The MP2020-corrected energy comes out at -6.691 eV per atom. The total energy is -68.2 eV/cell. As for the space-group type: C2/m (12). Its formation enthalpy at 0 K is -1.023 eV/atom.

The structure in extended XYZ format:
```
12
Lattice="-4.8490 -0.0002 2.7995 1.6197 4.6152 2.8049 1.5910 4.6495 -2.8436" Properties=species:S:1:pos:R:3 pbc="T T T"
Co 0.7955 2.3247 -1.4218
Co -1.6290 2.3246 -0.0221
Co -0.8335 4.6494 -1.4439
Co -1.6147 2.3075 2.8022
O 1.5141 8.0493 0.1309
O -3.1524 1.2151 2.6299
O -0.9946 1.2149 1.3842
O -0.6437 8.0496 1.3765
O -0.1109 3.4292 -0.1921
O -2.4230 3.2937 1.4024
O -1.5274 5.8353 2.9528
O 0.7847 5.9707 1.3583
```

---

# 4
Co3O4: optimized geometry, PBE+U.

Output
The MP2020-corrected energy comes out at -7.145 eV per atom. The total energy is -84.7 eV/cell. As for the space-group type: Imma (74). The polymorph energy (0 for the lowest one) comes out at 30.4 meV per atom. The total magnetic moment comes out at 3.00 μB per formula unit. Its formation enthalpy at 0 K is -1.271 eV/atom.

The structure in extended XYZ format:
```
14
Lattice="4.5115 -2.9964 -2.2373 3.4645 -3.6358 3.4927 -0.4109 -5.8371 -0.3116" Properties=species:S:1:pos:R:3 pbc="T T T"
Co 1.8946 -3.1443 0.2046
Co 4.0973 -8.8066 -2.5176
Co 4.9336 -4.8748 0.7457
Co 2.4724 -6.2951 1.7085
Co 2.9959 -5.9754 -1.1565
Co 4.7282 -7.7933 0.5899
O 4.5198 -6.5088 1.9520
O 4.4679 -9.4142 1.8394
O 2.7215 -7.4808 0.2273
O 4.9884 -6.1725 -0.6596
O 2.9051 -4.8143 0.3241
O 6.7348 -8.1059 0.9525
O 4.9366 -9.0778 -0.7722
O 6.5513 -10.7724 0.8556
```

---

# 5
CoO2: optimized geometry, PBE+U.

Output
>>>
We are VERY excited to share that in March we will go to Kona, Hawaii to the main YWAM University of the Nations to staff the Awaken DTS that begins in April! Check it out We will be honored with the opportunity to lead an outreach team wherever in the world God leads. There are amazing people there and amazing things happening! We know God has BIG things in store for us in the next season.
Its all very exciting but it doesn't happen easily. We cannot do this without your support! We NEED your prayers. Please pray for us for the finances needed to get to India and our time there and then to get to Kona. Another request would be for the planning process, for favor and open doors with the visa and all the details. We have a busy schedule with school going on and with the administration aspect of our work it can become stressful. Pray for God's grace that we can manage our time well and keep priorities straight. We can't wait to share with you how God provides for this journey! He is so faithful. If you feel led to support us please contact us or give through our paypal link on the right.Truly we are so blessed with your friendships and encouragement. Partnering with us is a picture of the body of Christ fulfilling the Great Commission in Matthew 28. Thank you so much for being a part of this mission.
**The text is interrupted by records of crystals:**
+++
Material: MgTe2Mo3WSe4S2
Method: DFT, PBE
State: relaxed

The structure in POSCAR format:
```
MgTe2Mo3WSe4S2
1.0
-3.278 0.575 0.268
1.776 -0.825 2.703
8.383 44.089 7.955
Mg Se Mo S W Te
1 4 3 2 1 2
direct
0.000 0.000 0.560
0.333 0.667 0.702
0.667 0.333 0.426
0.667 0.333 0.500
0.333 0.667 0.629
0.333 0.667 0.094
0.334 0.667 0.463
0.667 0.333 0.282
0.333 0.667 0.315
0.333 0.667 0.249
0.667 0.333 0.666
0.666 0.333 0.136
0.666 0.333 0.052
```

Values from the calculation:
- E_form (eV/f.u.) = -7.17
- distance to the lowest polymorph of the same formula (eV per atom) = 0.017
- crystal system = trigonal
- symmetry = P3m1, No. 156

=====

Material: MgTe4Mo2W2Se2S2
Method: DFT, PBE
State: relaxed

The structure in POSCAR format:
```
MgTe4Mo2W2Se2S2
1.0
-2.138 -1.977 -1.735
1.152 -0.997 3.028
-36.045 20.888 20.614
Mg Mo W S Te Se
1 2 2 2 4 2
direct
0.000 0.000 0.192
0.333 0.666 0.088
0.667 0.333 0.658
0.333 0.667 0.470
0.667 0.333 0.291
0.334 0.667 0.258
0.333 0.667 0.323
0.333 0.667 0.617
0.333 0.666 0.698
0.667 0.333 0.047
0.666 0.333 0.129
0.667 0.334 0.434
0.667 0.333 0.505
```

Values from the calculation:
- E_form (eV/f.u.) = -5.61
- distance to the lowest polymorph of the same formula (eV per atom) = 0.000
- crystal system = monoclinic
- symmetry = Cm, No. 8

=====

Material: MgTe4MoW3Se2S2
Method: DFT, PBE
State: relaxed

The structure in POSCAR format:
```
MgTe4MoW3Se2S2
1.0
-3.328 0.189 0.624
1.262 -2.663 -1.679
5.221 -18.614 33.457
Se Mg W Te Mo S
2 1 3 4 1 2
direct
0.667 0.333 0.427
0.667 0.333 0.512
0.293 0.664 0.874
0.667 0.333 0.658
0.333 0.667 0.094
0.333 0.667 0.470
0.667 0.333 0.143
0.333 0.667 0.609
0.667 0.333 0.045
0.333 0.667 0.706
0.667 0.333 0.282
0.333 0.667 0.321
0.333 0.667 0.243
```

Values from the calculation:
- E_form (eV/f.u.) = -4.33
- distance to the lowest polymorph of the same formula (eV per atom) = 0.055
- crystal system = triclinic
- symmetry = P1, No. 1

=====

Material: MgTe4Mo3WSe2S2
Method: DFT, PBE
State: relaxed

The structure in POSCAR format:
```
MgTe4Mo3WSe2S2
1.0
3.392 -0.001 0.000
-1.696 2.937 0.000
-0.001 0.001 38.729
S Mg Te Mo W Se
2 1 4 3 1 2
direct
0.667 0.333 0.431
0.667 0.333 0.509
0.598 0.370 0.875
0.667 0.333 0.142
0.333 0.667 0.609
0.333 0.667 0.706
0.667 0.333 0.046
0.333 0.667 0.470
0.667 0.333 0.282
0.333 0.667 0.094
0.667 0.333 0.658
0.333 0.667 0.239
0.333 0.667 0.324
```

Values from the calculation:
- E_form (eV/f.u.) = -5.28
- distance to the lowest polymorph of the same formula (eV per atom) = 0.059
- crystal system = triclinic
- symmetry = P1, No. 1

=====

Material: MgTe4Mo3WSe2S2
Method: DFT, PBE
State: relaxed

The structure in POSCAR format:
```
MgTe4Mo3WSe2S2
1.0
-1.957 1.746 -2.165
2.825 -1.530 -1.116
-23.716 -37.407 -8.721
Te S Mg Mo Se W
4 2 1 3 2 1
direct
0.333 0.667 0.240
0.333 0.667 0.705
0.333 0.667 0.324
0.333 0.667 0.622
0.667 0.333 0.430
0.667 0.333 0.496
0.000 0.000 0.554
0.333 0.667 0.463
0.333 0.667 0.094
0.667 0.333 0.663
0.667 0.333 0.058
0.667 0.333 0.130
+++
By the way, if you would like to be on our newsletter email list go here to sing up!
Much love and blessings. We look forward to hearing from you. Enjoy fall and pumpkin lattes!! :)
Alicia & Evan